Tuesday, February 28, 2012

Red Flanders update

Today I racked my Flanders red to secondary. It's been in primary for a little over two weeks and activity seems to have slowed down enough for me to transfer it.

After having some difficultly with my racking cane/carboy cap, I ended up using my trusty auto-siphon (I will have to buy another one for non-sours, oh well!) to transfer the beer to secondary. I pulled off a sample to taste, and it hasn't really started souring yet, but has a nice flavor so I have confidence it will turn out well.

Now that it's transferred to secondary, I play to let it sit in the closet for the next six months or so before getting a dose of red currants and pomegranite seeds. If all goes as planned, I hope to bottle this sometime around New Year's.

Coffee: Extreme DIY Edition

Coffee berries. They sorta taste like grapes...

Not simply content with roasting my own coffee, this past summer I took the further step of growing and drying my own beans as well. I gathered approximately a pound of coffee berries, and removed the flesh from them, exposing the seeds, which will eventually become coffee beans.

I air-dried them for 3 days, removing the paper husk surrounding the bean. I then roasted them in a cast iron pan (not the ideal method, but I didn't have access to a coffee roaster at the time).

Finally, I ground them and make a cup of coffee. A bit light, very tasty. I don't think it's worth the time investment - I've since gone back to buying gourmet coffee. I might revisit this one day in the future when I have a greenhouse.

Sunday, February 26, 2012

Wood Toasting 101

I have been known as the "oak guy" in my local homebrewer's club for a couple years now, and while I'm not quite sure how I earned the distinction, I will admit that I enjoy using wood in my brewing.

In addition to the tried-and-true oak staple, I've been known to venture into less well-charted territory from time to time, using cedar, applewood, cherrywood, walnut, and other woods. Of course, they don't usually sell toasted cherrywood staves at the local homebrew shop, so you'll have to make your own.

I was able to source some 1"x12" un-treated cherry staves from a local cabinet maker. Wherever you get your wood, make sure it's untreated, pesticide free wood, as the stuff sold at Home Depot may not be food safe.

After that, you will want to toast it to bring out it's flavor characteristics. I use my kitchen oven, but a butane torch or open fire will work just as well provided you are careful. For this particular piece, I was looking for a medium toast so I put it in a 300°F oven on the center rack for approximately 35 minutes.

I like to use a pizza screen for this process as it makes it easy to get the wood in and out and allows adequate airflow so I get a nice even toast. Once it's to your desired toast level (I'll have a more in-depth write-up on toast levels and the flavor contributions of different woods in a future post), let it cool down for at least 15 minutes, and I prefer to let them rest for about a week before using them - just like fresh roasted coffee or chocolate, some of the harsher flavors need to mellow before use.

For reference, here is an un-toasted stave next to a freshly toasted one:

I hope this information proves useful. If you are doing any oaked beers soon, let me know in the comments.

TOPSECRET Brewday: Batch Eleven

I brewed up my eleventh overall all-grain batch, and my second collaboration beer, yesterday morning.

A little history behind this collaboration: late last year, both my friend Rick and myself ended up getting job offers in Reno. We were both living in Southern California at the time, and found it amusing that we were both moving to the same place.

In December, the homebrew club we used to belong to announced that they were holding a collaborative homebrew contest, where you could brew any style beer you wanted, as long as it was brewed as a collaboration.

Rick and I decided we would enter, and almost right away we knew what kind of beer we wanted to brew. We both like big, dark beers, and both of us had recently brewed stouts, so we knew we wanted to brew a porter of some kind.

I will post the recipe and more information on the beer later, but until me and Rick win the competition it's classified.

Some pictures from the brewday:

The 'hop spider'.

Rick's Darth Stove.
Drinking some inspiration beer.

Wednesday, February 22, 2012

St. James Infirmary to open a brewpub in 2012

I read on the Reno Gazette Journal last week that the owner of St. James Infirmary is planning to open a new brewery, called Brasserie St. James, that'll focus on belgians and barrel-aged beers. I can't wait. Good luck guys!

Batch 10: Honey Wheatwine

With Monday being a holiday, I used the time off to brew another batch of beer. For my tenth batch of beer I thought that I would do something extra-special and brew a beer that I could cellar for a year or two. After really enjoying The Bruery's White Oak and various other wheat wines (such as Terrapin's Gamma Ray, which my recipe is loosely inspired by) I decided I would make one of those.

At the same time, my cousin is turning 30 this year and I figured I would honor the occasion with a beer. My cousin is a big fan of Tequila, so I figured I would incorporate it into the recipe somehow. What I ended up with was a roughly 9% wheat wine with honey and tequila-soaked oak cubes in secondary.

I picked up my ingredients on Saturday since I knew the LHBS would be closed on Monday, so I went ahead and put it aside and went on vacation. When Monday finally came I got all my equipment ready and set to brewing. I was also busy making breakfast for everyone so I didn't take as many pictures as I usually do. The brew day went well, but I was about 7 points under my target efficiency (I need to figure out what's going on since moving to Reno). I pitched a combination of wine and ale yeasts to accentuate the dryness I'm going for, but also balanced it with a judicious amount of honey malt to stand up to the oak and adjuncts I am using.

I pitched both yeast packets at 70°F and within 4 hours I had airlock activity. I will post the recipe later on when I transfer to secondary.

The hops. I used all cascade in this brew.
After mashing, almost to a boil.
15 minutes left in the boil. I had a boilover early on.
1.071 (1.072 temp corrected). Target was 1.078 so I'm a bit short. It will still end up over 9% with the honey so I'm not too bummed out.

Blow off. The combined yeast are going gangbusters.

Tuesday, February 21, 2012

SFBW 2012

I took advantage of the three day weekend afforded by President's Day, and took a small trip to California to catch the tail-end of San Francisco Beer Week 2012. Me and my girlfriend left at 7 AM. We took a detour through Napa Valley and stopped at a few wineries before getting back on the highway and heading towards San Francisco.

My first stop was at Bear Republic Brewing Company to pick up a few bombers of Racer X, their DIPA and a bigger version of Racer 5. Up until now, Racer X has only been available on tap at the brewpub, and Bear Republic hasn't had a new bottled beer in almost a decade. To celebrate SFBW, Bear Republic bottled a special batch that will only be available directly at their brewpub. While there I ordered the duck burger, which was delicious, and a pint of Ryevalry, their rye double IPA, which was equally fantastic. Bottles in hand, we headed for our next destination. 
Stop number two was the infamous Russian River. Most famous for Pliny the Younger, which was released two weeks earlier, I missed the madness but the brewery was still packed at 1PM. I sampled a few beers, my favorite was the Damnation Batch 23, a nice, oaky, tart belgian golden strong. I also picked up some merchandise since I probably won't be back until next February.
My final stop for Saturday was at Lagunitas. I was lucky enough to get there right as a tour was starting. They took us through the old tasting room and showed us the mash tuns, fermentation tanks, bright tanks, and their small barrel aging facility. The tour guide also shared some insights and funny stories (which you will have to hear for yourself!). They are in the middle of a multi-million dollar expansion so there were a lot of areas that were closed-off.

After the tour a went back down to the taproom and had a flight of four of their beers. I had the cask conditioned WTF, cask conditioned Imperial Red, Lagunitas SUCKS aka Holiday Leftovers, and their SFBW Fusion 2012. I especially liked the SFBW beer, which is Hop Stoopid with 2x the hops. The cask red was outstanding, as was Sucks, which does not suck but is actually a very good IPA.
After a full days worth of touring the local breweries, we turned in. On Sunday we visited some local landmarks and then headed back home. It was a great trip and I look forward to doing more of these now that I live ~4 hours away from the Bay area.

Downtown Napa.

Lagunitas barrel aging "facility".

One of the places we visited on the way home.

My haul after the trip. 6 bombers of Racer X, a bottle of Temptation, and brewery glassware.

Thursday, February 16, 2012

Tasting Notes: Belgian Enkel

My Belgian enkel has been in the keg for a couple of weeks now, and is finally carbonated enough for a proper tasting.

Appearance - straw yellow, crystal clear, with a thin white head.

Aroma - nutmeg, clove, allspice, fresh baked bread, apricots, and plums.

Taste - Lemon, graininess, a little bit of diacetyl.

Mouthfeel - Very thin. High carbonation, but not champagne or soda-like.

Overall Impression - Similar to the patersbiers I've tried, but more breast.

If I brew this again I plan to raise the ABV from 3.5% to 4% and use a fruitier yeast strain.

Buckbean Brewing Co. to close its doors

Last Friday, citing a difficult economy and higher prices for ingredients, brewery owner Doug Booth reported that Buckbean would close on February 29th.

It's always hard watching a brewery go out of business, and it hits even harder when that brewery is part of a small pool of locally-produced beers. Thankfully, we still have Silver Peak, Great Basin, Brew Brothers, and Fifty Fifty in the area to fill our local craft beer needs.

Buckbean will be having special discounts and events until the end of the month (check their website for more information and hours/directions), so get on over and grab one last pint, before it's gone!

Sunday, February 5, 2012

Batch 9: Red Flanders

I've been a big fan of sours for a few years now, but up until recently, hadn't considered brewing one of my own. I had previously made a Brett B. stout that turned out very good, so I decided I would try stepping up to a full-on sour with bacteria and all.

Dueling brew stoves.
When I was brainstorming what I wanted to brew, I remembered how much I loved both New Belgium's La Folie and The Bruery's Oude Tart, and knew I just had to brew a flanders red.

After talking to a fellow homebrewer, Adam, who had made a very good homebrewed flanders red and getting his recipe and feedback, I was on my way.

The recipe I used was a modified version of Jamil Z.'s recipe, but I bumped up the specialty grains by 20% per Adam's suggestion so that the bacteria and Brett would have more food. I also pitched the blend directly into primary, as Jamil's recipe suggests doing a clean primary and then souring in secondary, but this apparently creates a very restrained sourness that I wasn't looking for. I also substituted the wheat malt for flaked corn, which is similar to what Rodenbach uses in their beers. I will also be oaking and fruiting it later on.

I made a trip to the homebrew shop and was all set to brew last Saturday, but they were out some of the things I needed. I ended up having the owner order my the Wyeast 3763 Roeselare Blend and a 6 gallon Better Bottle that I can dedicate to sours. They came in the following Thursday so I moved the brew day to that coming Saturday.

I found out my buddy Rick was planning on brewing the same day, and figured that since it's always nice to have company that we would do a brew day together. I loaded up my car with my equipment and ingredients and drove over to Rick's.

Mashing in at 156°F.
I started my mash around 10AM and was able to sparge and get to a boil about an hour and a half later. Both me and Rick ended up having efficiency problems - he ended up nearly 20 points below his target FG and I came in on target but with only 4.5 gallons of wort. I figured that rather than top off I'd just go with it, so I went ahead and aerated and pitched my yeast at 60°F. I plan on fermenting at 65° and ramping up to 80° over the course of a week or so.

Afterwards I will transfer to secondary and let it bulk age and continue souring for at least 8 months, adding oak staves and some sour cherries once the gravity stabilizes (probably in ~6 months from what I have been reading).

Flanders Red
Recipe Overview

Date Brewed: 4 Feb 2012
Selected Style: 17B-Sour Ale-Flanders Red Ale

Target Pre-Boil Gravity: 1.050 SG Actual Pre-Boil Gravity: -No Record-
Target OG: 1.054 SG
Actual OG: 1.054 SG
Target FG: 1.012

Target ABV: 5.9%
Target ABW: 4.6 %
Target IBU (using Tinseth): 12.8 IBU
Target Color (using Morey): 15.3 SRM
Target Fermentation Temp: 65 degF

Ingredient Amount % MCU When
German Vienna Malt 5.00 lb 33.8 % 2.9 In Mash/Steeped
Belgian Pilsen Malt 4.50 lb 30.4 % 1.2 In Mash/Steeped
German Munich Malt 3.00 lb 20.3 % 2.7 In Mash/Steeped
Belgian Special B 0.65 lb 4.4 % 15.7 In Mash/Steeped
Belgian Aromatic Malt 0.58 lb 3.9 % 1.8 In Mash/Steeped
German CaraMunich III 0.58 lb 3.9 % 5.5 In Mash/Steeped
US Flaked Corn/Maize 0.50 lb 3.4 % 0.1 In Mash/Steeped

Variety Alpha Amount IBU Form When
German Crystal 3.5 % 1.01 oz 10.8 Loose Whole Hops 90 Min From End

Misplaced materials data:
-- begin --
Computed, not measured: a relaxed NdFeB crystal at the PBE level of DFT.

a b c (Å): 6.695 6.695 3.718
angles (deg): 90.00 90.00 120.00
Atoms (fractional coordinates):
B  0.842  0.842  0.000
Nd  0.578  0.000  0.500
Fe  0.000  0.000  0.500
Fe  0.333  0.667  0.000
Nd  0.422  0.422  0.500
Fe  0.667  0.333  0.000
B  0.158  0.000  0.000
Nd  0.000  0.578  0.500
B  0.000  0.158  0.000

Properties
distance to the lowest polymorph of the same formula = 0.501 eV per atom
electronic total energy = -0.45678 Ry per atom



Computed, not measured: a relaxed NdFeB4 crystal at the PBE level of DFT.

a b c (Å): 4.902 4.902 4.902
angles (deg): 142.63 113.40 78.94
Atoms (fractional coordinates):
B  0.907  0.244  0.663
Nd  0.000  0.000  0.000
B  0.419  0.756  0.663
Fe  0.500  0.500  0.000
B  0.581  0.244  0.337
B  0.093  0.756  0.337

Properties
distance to the lowest polymorph of the same formula = 0.221 eV per atom
electronic total energy = -0.48551 Ry per atom



Computed, not measured: a relaxed NdFeB crystal at the PBE level of DFT.

a b c (Å): 3.574 3.574 8.476
angles (deg): 90.00 90.00 120.00
Atoms (fractional coordinates):
Fe  0.667  0.333  0.250
Nd  0.000  0.000  0.000
Fe  0.333  0.667  0.750
B  0.333  0.667  0.250
B  0.667  0.333  0.750
Nd  0.000  0.000  0.500

Properties
distance to the lowest polymorph of the same formula = 0.031 eV per atom
electronic total energy = -0.49134 Ry per atom



Computed, not measured: a relaxed NdFe4B4 crystal at the PBE level of DFT.

a b c (Å): 7.051 7.051 3.805
angles (deg): 90.00 90.00 90.00
Atoms (fractional coordinates):
Fe  0.368  0.888  0.393
B  0.834  0.299  0.605
B  0.666  0.201  0.895
B  0.201  0.334  0.105
B  0.166  0.701  0.605
Fe  0.132  0.612  0.107
B  0.299  0.166  0.395
B  0.334  0.799  0.895
B  0.799  0.666  0.105
Fe  0.868  0.388  0.107
Nd  0.000  0.000  0.000
Fe  0.112  0.368  0.607
Nd  0.500  0.500  0.500
Fe  0.612  0.868  0.893
B  0.701  0.834  0.395
Fe  0.632  0.112  0.393
Fe  0.888  0.632  0.607
Fe  0.388  0.132  0.893

Properties
electronic total energy = -0.56014 Ry per atom



Computed, not measured: a relaxed NdFe12B6 crystal at the PBE level of DFT.

a b c (Å): 6.064 6.064 6.064
angles (deg): 104.31 104.31 104.31
Atoms (fractional coordinates):
B  0.314  0.769  0.769
Fe  0.131  0.500  0.869
B  0.769  0.314  0.769
Fe  0.188  0.456  0.456
B  0.231  0.686  0.231
Fe  0.812  0.544  0.544
Fe  0.131  0.869  0.500
B  0.769  0.769  0.314
Fe  0.500  0.869  0.131
Fe  0.456  0.188  0.456
B  0.686  0.231  0.231
B  0.231  0.231  0.686
Fe  0.869  0.500  0.131
Fe  0.869  0.131  0.500
Fe  0.544  0.544  0.812
Fe  0.456  0.456  0.188
Fe  0.500  0.131  0.869
Fe  0.544  0.812  0.544
Nd  0.000  0.000  0.000

Properties
electronic total energy = -0.57972 Ry per atom



Computed, not measured: a relaxed NdFeB4 crystal at the PBE level of DFT.

a b c (Å): 3.160 3.160 6.856
angles (deg): 90.00 90.00 120.00
Atoms (fractional coordinates):
Fe  0.000  0.000  0.000
Nd  0.000  0.000  0.500
B  0.667  0.333  0.811
-- stop --
End of the materials data:

Wyeast 3763-Roselare Belgian Blend

Mash Schedule
Mash Type: Full Mash
Rest at: 156 degF
Duration: 60 min
Water Profile:  Brussels (BE)
Mash pH:  5.2
pH Adjusted with:  Five Star 5.2

Here are some more pics from the brewday:

90 minute boil to get more unfermentables for the bugs to chew on.
Filling up my carboy.
We keep it classy in Reno.